
Tuesday, 6 July 2021

Catherine Wells (1872 – 1927) - British writer and poet

With thanks to Henry Gott of Blackwells Rare Books in Oxford for suggesting I

research Catherine, to Julie Cauvin who confirmed that the Red Cross WW1

Record card is indeed for Catherine Wells, wife of H.G. Wells, and to David Gray

for additional information

Photograph of Catherine
from her Book

Catherine was born Amy Catherine Robbins in Islington, London, UK on 8th July 1872.   Her parents were Frederick and Maria Catherine Robbins.   Catherine, who was known as Jane, was a student of Herbert George ( H.G.) Wells during his time as a teacher.  They were married in St. Pancras, London in 1895 – she was his second wife.  Jane died on 6th October 1927, in Dunmow, at the age of 55.

After Catherine’s death in 1927, H.G. Wells had her poetry and short story collection published under the title “The Book of Catherine Wells”, which was published by Chatto & Windus in 1928.  Several of her poems relate to WW1:

“Spring 1915”

Spring, dear Spring,

Dear Beauty !

You come with soft feet

Bringing your old, immortal joys

That have given us in all our years

Delight so exquisite.

You spread your loveliness before us –

A tender veil!

As if in kindness you had hung a curtain

Thick fold upon thick fold unstintingly

To stop our hearing how a madman

Raves, in the next room.

It is n o good, dear beauty of the earth !

Tearing great rents athwart you

Come the screams of war.

(page 199)

“June 1916”

Last night I dreamed.

In the void of space

Stood three great Archangels with pitiless eyes

About an armoured monster in their midst;

A brutal shape that spat impotent fire

At their bright immortality.

‘He must be beaten our of life,’ they cried;

‘He is War.’

And as I looked came multitudes

Carrying their all, and heaped upon the brute

Each staggering load, blow after blow, until he lay

Writing beneath a monstrous heap of treasure

And brave bodies of men, and women’s tears

That ran down the heap of pearls.

And still the angels cried, ‘More yet ! more yet !

Not yet is there enough !’ Again

The people toiled with fast diminishing loads

Until they had no more to give.

It seemed enough, until a tiny chink

Showed in the heap.

‘One thing more,’ they cried, ‘and ye have done !’

‘We have no more,’ the people wept.  And then

The angels turned, and each his finger held

Straight aimed at me, and called in unison,

‘Thy son ! ‘

(page 200)

Daily here my body sits, 

My fingers tearing bandage strips,

My drilled eyes watch the pattern fits,

My agile scissor cuts and snips,

But truant Brain leaps out at play

And flies to some pellucid day

And suddenly I seem to hear

A sea maid singing at my ear

And straight am with her on a strand

Of cockle shells and pearly sand.

Where rainbows crown the leaping surf

And green weed wraps the rocks with turf.

We wreathe her yellow hair with weed

And play with coriander seed

And coral beads and horns of pearl -

The while that here my body sits,

My fingers tearing bandage strips.

(From "The Book of Catherine Wells" - short stories and poems - published in 1928 after Catherine's death by Chatto and Windus, London, 1928, pages 199, 200 and 201). Catherine's poem "Red Cross Workroom; 1917" appears to tell us about her contribution to the war effort. 

WW1 Red Cross Record card for Mrs H.G. Wells - From Julie Cauvin:  “Catherine did a Red Cross course: From the Boston Review blog spot ‘...She had gone through a Red Cross course so as to be competent in domestic emergencies. She had a file of shop addresses where things needed could be bought. Her garden was a continually glowing success...’ The Wells family lived at Easton Glebe - Besides his home in London, Wells rented Easton Glebe, Dunmow, Essex, on the Easton Lodge estate, between 1910 and 1928.”  

On the Siegfried Sassoon Fellowship Facebook page on 20 June 2021, David Gray says:

“Flicking through a volume written by H. G. Wells from Siegfried Sassoon’s library, I found a small, printed booklet being the Eulogy by Wells for his wife Catherine. I’m guessing Sassoon slipped it into the book after attending the service.”

  Sources:  Find my Past,

"The Book of Catherine Wells" - short stories and poems - published in 1928 after Catherine's death by Chatto and Windus, London, 1928

British Red Cross WW1 Record card for Mrs H.G. Wells

Monday, 5 July 2021

Matilda Betham-Edwards (1836 – 1919) – British poet, writer, novelist

Matilda was born on 4th March 1836 in Westerfield, Suffolk.  She was the fourth daughter of Edward Edwards, a farmer, (c. 1808–1864) and his wife Barbara (1806–1848), nee Betham, whose father, the Reverend William Betham, was an antiquary and cleric. 

Matilda’s aunt was the artist, poet and novelist Matilda Beetham (1776 – 1852).  Matilda later wrote about her aunt in her book “Six Life Studies of Famous Women” (1880).  Matilda was educated in Ipswich and as a governess-pupil at a school in London.   She studied French and German in France and Germany and went on to write travel books.  After the death of their father, Matilda and her sister managed the family’s farm.   

Matilda was friends with Charles Dickens and with Charles and Mary Lamb, who were friends of her Mother’s.

Catherine W. Reilly tells us that Matilda published a volume of poetry during the First World War – “War Poems” (Arrowsmith, Bristol, 1917) – 24 pages.  According to Reilly, a copy of that collection is held by Manchester Public Libraries.  Matilda also wrote an account of the German occupation of Alsace – “Hearts of Alsace” (1916).

“The Two Mothers” by Matilda Betham-Edwards

‘Poor woman, weeping as they pass,

[Data records from another source follow]
Structure and theoretical X-ray powder pattern of Ho12Co5Sn (a cell relaxed with PBE; Cu Kα (λ = 1.5418 Å)).
No peak broadening, texture or thermal motion is included.

Principal peaks in the range 15° ≤ 2θ ≤ 90°, in order of falling intensity:
| 2θ/deg | intensity |
| --- | --- |
| 32.66 | 100 |
| 34.83 | 53 |
| 35.42 | 53 |
| 35.81 | 47 |
| 30.24 | 37 |
| 30.05 | 30 |
| 60.79 | 29 |
| 28.92 | 26 |
| 55.30 | 24 |
| 38.56 | 20 |

Cell and atoms:
Lattice parameters (Å, degrees): 8.2340 8.2340 8.2340 110.90 110.69 106.86
Sites, in units of the cell vectors:
Ho: 0.0159 0.2089 0.8070
Ho: 0.1858 0.2912 0.4771
Ho: 0.1858 0.7088 0.8946
Ho: 0.3135 0.0078 0.6943
Ho: 0.3135 0.6192 0.3057
Ho: 0.4019 0.2089 0.1930
Ho: 0.5981 0.7911 0.8070
Ho: 0.6865 0.3808 0.6943
Ho: 0.6865 0.9922 0.3057
Ho: 0.8142 0.2912 0.1054
Ho: 0.8142 0.7088 0.5229
Ho: 0.9841 0.7911 0.1930
Co: 0.0000 0.0000 0.0000
Co: 0.1126 0.6126 0.5000
Co: 0.3774 0.0000 0.3774
Co: 0.6226 0.0000 0.6226
Co: 0.8874 0.3874 0.5000
Sn: 0.5000 0.5000 0.0000


Structure and theoretical X-ray powder pattern of AlInPbF6 (a cell relaxed with PBE; Cu Kα (λ = 1.5418 Å)).
No peak broadening, texture or thermal motion is included.

Principal peaks in the range 15° ≤ 2θ ≤ 90°, in order of falling intensity:
| 2θ/deg | intensity |
| --- | --- |
| 24.70 | 100 |
| 40.21 | 44 |
| 31.21 | 37 |
| 46.98 | 29 |
| 17.87 | 22 |
| 51.75 | 22 |
| 38.85 | 14 |
| 55.77 | 12 |
| 16.91 | 12 |
| 36.20 | 11 |

Cell and atoms:
Lattice parameters (Å, degrees): 5.2430 5.7259 5.7326 60.06 89.97 89.94
Sites, in units of the cell vectors:
Al: 0.0000 0.0000 0.0000
In: 0.4238 0.3338 0.3328
Pb: 0.8857 0.6666 0.6665
F: 0.1951 0.3067 0.8095
F: 0.1947 0.8084 0.8841
F: 0.1946 0.8836 0.3069
F: 0.8024 0.1003 0.7007
F: 0.8022 0.2001 0.0996
F: 0.8017 0.7012 0.1989


Structure and theoretical X-ray powder pattern of LiLaPuO6 (a cell relaxed with PBE; Cu Kα (λ = 1.5418 Å)).
No peak broadening, texture or thermal motion is included.

Principal peaks in the range 15° ≤ 2θ ≤ 90°, in order of falling intensity:
| 2θ/deg | intensity |
| --- | --- |
| 25.69 | 100 |
| 19.07 | 40 |
| 48.75 | 29 |
| 33.34 | 26 |
| 42.56 | 25 |
| 55.12 | 25 |
| 39.73 | 11 |
| 56.70 | 11 |
| 75.95 | 10 |
| 77.30 | 10 |

Cell and atoms:
Lattice parameters (Å, degrees): 5.3744 5.3744 5.1969 90.00 90.00 120.00
Sites, in units of the cell vectors:
Li: 0.0000 0.0000 0.0000
La: 0.3333 0.6667 0.5000
Pu: 0.6667 0.3333 0.0000
O: 0.3568 0.0384 0.2151
O: 0.3568 0.3184 0.7849
O: 0.6816 0.0384 0.7849
O: 0.6816 0.6432 0.2151
O: 0.9616 0.3184 0.2151
O: 0.9616 0.6432 0.7849


Structure and theoretical X-ray powder pattern of V5Mo (a cell relaxed with PBE; Cu Kα (λ = 1.5418 Å)).
No peak broadening, texture or thermal motion is included.

Principal peaks in the range 15° ≤ 2θ ≤ 90°, in order of falling intensity:
| 2θ/deg | intensity |
| --- | --- |
| 42.22 | 100 |
| 42.27 | 20 |
| 61.25 | 18 |
| 77.27 | 18 |
| 77.15 | 17 |
| 21.91 | 5 |
| 29.51 | 3 |
| 37.07 | 3 |
| 27.75 | 2 |
| 40.96 | 2 |

Yon brave recruits, the nation’s pride,

You mourn some gallant boy, alas!

Like mine who lately fought and died?’

‘Kind stranger, not for soldier son,

Of shame, not grief my heart will break

Three stalwards have I, but not one

Doth risk his life for England’s sake!’

Published in the “Westminster Gazette” on 11th December 1914. 

“War Poems” was the last poetry collection Matilda had published. It was inspired by the events of the First World War and some of the poems focus on theAlsace region of France. Most of the poems in the collection are patriotic and encourage men to join the fight, as shown by this extract from “No Son of Mine”(1915): 

“From over-sea thy brethren hie, 

Great England’s sons, not these home-born, 

Whilst thou by thousands let’st them die 

Thyself, unharmed, the butt of scorn!”. 

Matilda died on 4th January 1919 in Hastings, Sussex. 


Find my Past

Hibberd, Dominic and Onions, John, Editors.- “The Winter of the World Poems of the First World War” (Constable & Robinson, London, 2007)

Reilly, Catherine W. “English Poetry of the First World War: A Bibliography” (St. Martin’s Press, new York, 1978)

There is a Biography of Matilda Betham Edwards written by Professor Joan Rees and published in 2006.  

Booksellers Jonathan Frost Rare Books Ltd. have a copy of Matilda’s WW1 poetry collection listed in their July 2021 Catalogue